Saving vertices data in GPU and returning it to CPU when it's needed.

So my idea is when a model is created its vertices are uploaded to GPU assigned with VBO but vertices from CPU are deleted and index to every vertex is remembered, and when you need to make changes to a model you return a specific value from GPU and edit it. Is my system efficient? So instead of having duplicates on CPU and GPU, I can have them only on GPU and edit them from CPU whenever I need it, and if the communication between them is constant then I save data to CPU in order not to get it back every time I update it. If this is a good idea, what are the functions for returning vertices from VBO? BTW I’m using OpenGL es2.0 android.

Can someone help me? I’m pretty sure this isn’t something new, but I can’t find anything on the internet related to this question. Here is my system explained visually.
And the basic question is: Is my system efficient? Or is the data flow between CPU and GPU more expensive than having duplicates on CPU and GPU? If so, If I optimize the data flow by saving vertices on CPU if it’s going to be updated multiple times in a row, will that fix flow problem?

glGetBufferSubData() or glMapBuffer() (etc)

You’re out of luck. ES 2.0 buffer objects are write-only.

No. Especially on mobile GPUs (e.g. Android).

So my idea is when a model is created its vertices are uploaded to GPU assigned with VBO but vertices from CPU are deleted and index to every vertex is remembered, …
when you need to make changes to a model you return a specific value from GPU and edit it.
Is my system efficient? …
I’m using OpenGL es2.0 android.

Your results are going to vary based on the GL driver and your use case, but in general no, this is not efficient.

The GPU pipeline is optimized for data to flow one direction: from the CPU to the GPU. Feeding data back from the GPU/driver to the CPU is likely to cause stalls.

However, you can get these stalls uploading from the CPU to the GPU too – especially on mobile GPUs! You need to be extremely careful of when the GPU or driver may still be using buffer objects or textures that you’ve provided it. If for instance you attempt to change the contents of a buffer object from the CPU (e.g. via glMapBuffer or glBufferSubData) while some command you’ve previously issued to the GPU is still in the pipeline (has not fully completed) that is using that buffer object, it is not uncommon for the OpenGL ES driver to block/suspend your CPU thread right there – aka stall – until such time as the GPU and driver are finished with all other commands in the pipeline that reference that buffer object. Performance-wise, that hurts! It’s tricky to use buffer objects efficiently on mobile for dynamic data updates from the CPU.

I would recommend you first implement your batch rendering using client arrays only. Client arrays are much easier to use on mobile efficiently. Benchmark any migration to buffer objects against this client arrays implementation. If it’s not faster, stay with client arrays until you figure out how to make the buffer object implementation faster.

- - -
Record 1
DFT (PBE) results for a geometry-optimized TmHf2V structure.

Values from the calculation:
- magnetic moment (μB/f.u.) = 0.00
- crystal system = tetragonal
- energy (eV per atom) = -8.196
- energy above the most stable polymorph in this dataset (eV per atom) = 0.0000

Cell: 3.3783 3.3783 7.6384 Å, 90.00 90.00 90.00°
With the nearest neighbours (Å) after each atom.
Fractional positions:
Hf 0.0000 0.0000 0.1979  4 V 2.83, 1 Hf 3.02
Hf 0.0000 0.0000 0.8021  4 V 2.83, 1 Hf 3.02
Tm 0.5000 0.5000 0.5000  8 Hf 3.32, 4 Tm 3.38
V 0.5000 0.5000 0.0000  8 Hf 2.83

---

Record 2
DFT (PBE) results for a geometry-optimized TmHf2V structure.

Values from the calculation:
- magnetic moment (μB/f.u.) = 1.06
- crystal system = trigonal
- energy (eV per atom) = -7.965
- energy above the most stable polymorph in this dataset (eV per atom) = 0.2303

Cell: 3.1506 3.1506 10.6803 Å, 81.52 81.52 60.00°
With the nearest neighbours (Å) after each atom.
Fractional positions:
Hf 0.9008 0.9008 0.2976  3 V 2.80, 1 Tm 3.13
Hf 0.0992 0.0992 0.7024  3 V 2.80, 1 Tm 3.13
Tm 0.0000 0.0000 0.0000  2 Hf 3.13, 6 Tm 3.15
V 0.5000 0.5000 0.5000  6 Hf 2.80

---

Record 3
DFT (PBE) results for a geometry-optimized TmHfV structure.

Values from the calculation:
- magnetic moment (μB/f.u.) = 1.94
- crystal system = trigonal
- energy (eV per atom) = -7.481

Cell: 3.2496 3.2496 7.5064 Å, 77.50 77.50 60.00°
With the nearest neighbours (Å) after each atom.
Fractional positions:
Hf 0.1186 0.1186 0.6443  3 V 2.78
V 0.5458 0.5458 0.3627  3 Hf 2.78, 3 Tm 3.02
Tm 0.3210 0.3210 0.0369  3 V 3.02, 6 Tm 3.25

---

- magnetic moment of number 1 (TmHf2V)?
  0.00 μB/f.u.

---

- Look up the energy of the second one.
  -7.965 eV per atom

---

- The highest energy belongs to which entry?
  TmHfV

---

- Which of these has the lowest magnetic moment?
  number 1

----------

# 1
Below is a relaxed NaYNiPb crystal, with properties calculated at the PBE level. Values from VASP.

Summary:
Symmetry: F-43m, No. 216
Energy above the lowest structure with this stoichiometry, meV per atom: 135

```
&SYSTEM
  ibrav = 0, nat = 4, ntyp = 4
/
ATOMIC_SPECIES
Na 22.99 Na.upf
Y 88.91 Y.upf
Ni 58.69 Ni.upf
Pb 207.20 Pb.upf
CELL_PARAMETERS angstrom
-3.868 -2.876 1.465
-3.605 1.934 2.940
-4.604 0.826 -1.871
ATOMIC_POSITIONS crystal
Na 0.750 0.750 0.750
Y 0.250 0.250 0.250
Ni 0.000 0.000 0.000
Pb 0.500 0.500 0.500
```

=====

# 2
Below is a relaxed DyTaPd crystal, with properties calculated at the PBE level. Values from VASP.

Summary:
Symmetry: F-43m, No. 216
Energy above the lowest structure with this stoichiometry, meV per atom: 0

```
&SYSTEM
  ibrav = 0, nat = 3, ntyp = 3
/
ATOMIC_SPECIES
Ta 180.95 Ta.upf
Pd 106.42 Pd.upf
Dy 162.50 Dy.upf
CELL_PARAMETERS angstrom
0.000 3.267 3.267
3.267 0.000 3.267
3.267 3.267 0.000
ATOMIC_POSITIONS crystal
Ta 0.000 0.000 0.000
Pd 0.250 0.250 0.250
Dy 0.500 0.500 0.500
```

=====

# 3
Below is a relaxed TcAsW2 crystal, with properties calculated at the PBE level. Values from VASP.
- - -

A logical first content type to transition to buffer objects is static content. That is, content that you upload once from the CPU and then never change again for the rest of the run of your application process. This avoids the problems I’m talking about, and is somewhat of a no-brainer on mobile unless you have “a lot” of static data (as compared to the amount of available GPU memory, that is). Still, verify performance with this against just using client arrays for the static content.

Then if you decide to try your hand at using buffer objects for dynamic content (the content that changes at runtime, like you’re talking about), I would recommend you avoid updating the contents of any buffer object from the CPU until at least 2-3 frames after you issued the last GL command that instructed the GPU to read from that buffer object. And don’t read back the contents of buffer objects or textures if you’re trying to maximize performance! This is a pipelined system, and you want to keep the CPU working ahead of the GPU and the driver.

Again, compare the performance of using buffer objects here against client arrays (paying particular attention to frames where you update buffer object content from the CPU using, e.g., glBufferSubData or glMapBuffer). Use a profiler here to ensure that you don’t trigger pipeline stalls or flushes here. Using buffer objects efficiently for dynamic content on mobile is definitely tricky. That said, you can do it by round-robining across a set of 2-3 buffer objects, or by using unsynchronized glMapBufferRange (which you may not have) with some tricky magic to block only on vertex transform work completion, not the entire pipeline (aka GL_SYNC_GPU_COMMANDS_COMPLETE in glFenceSync). But this requires some careful thought, and in the latter case some extension support, since you’re on GLES2.

As always, check the OpenGL ES manual from your GPU vendor for specific recommendations on efficiency. And get to know your GPU profiler well so that you can visually see these bottlenecks clearly.

Thanks :).